Call of Duty League fans and players don’t need to worry about anything for now, but changing to the new Hardpoint hills and spawns after Major One could be a terrible decision.
Two weeks before the first Major of 2024, Modern Warfare 3 controversially adjusted the Hardpoint spawns and hill locations on Invasion, Karachi, Sub Base, and Terminal. Understandably, the CDL decided to remain on the old patch so pro players didn’t need to re-learn everything in the middle of Online Qualifiers.
~~~
# 1
# CH2F2O2

A cluster of 2 separate species, CH2F2O2 in total at a distorted geometry (ωB97M-V/def2-TZVPD, the Open Molecules 2025 dataset).

Properties
- SMILES = O=C(O)F.F
- frontier orbital gap (eV) = 13.2
- LUMO level (eV) = 0.577
- HOMO level (eV) = -12.63

Positions of all 7 atoms, in Å:
F 1.82 0.19 0.20
F -2.18 -0.09 0.15
O -0.40 1.12 -0.27
O -0.31 -1.12 0.03
C -0.86 0.05 -0.06
H 1.25 0.91 -0.06
H 0.67 -1.07 0.01

# 2
# C5H10NO3

A cluster of 2 separate species, C5H10NO3 in total at a distorted geometry (ωB97M-V/def2-TZVPD, the Open Molecules 2025 dataset).

Properties
- frontier orbital gap (eV) = 8.8
- LUMO level (eV) = 3.850
- HOMO level (eV) = -4.95
- total charge = -1

Positions of all 19 atoms, in Å:
O 0.14 -0.99 3.08
O 0.23 0.62 -3.18
O -0.16 -0.87 -1.51
N -0.27 -1.31 0.99
C 2.22 -0.34 -2.11
C 0.61 -0.17 -2.35
C -0.79 0.92 1.86
C -1.70 1.17 0.61
C -0.29 -0.46 2.00
H 2.43 -1.35 -1.93
H 2.51 0.19 -1.24
H -1.88 2.28 0.46
H -0.36 -0.98 0.00
H 2.80 -0.34 -2.96
H -1.32 1.14 2.89
H -0.28 -2.41 1.13
H -1.23 0.68 -0.38
H -2.66 0.62 0.62
H 0.02 1.61 2.03

# 3
# C35H42BaN6O2P2S5

A structure of composition C35H42BaN6O2P2S5 at a distorted geometry (ωB97M-V/def2-TZVPD, the Open Molecules 2025 dataset).

Properties
- frontier orbital gap (eV) = 6.2
- LUMO level (eV) = -0.780
- HOMO level (eV) = -6.99

Positions of all 93 atoms, in Å:
Ba -16.97 -6.04 -16.25
S -10.05 -2.98 -14.81
S -20.49 -1.85 -17.49
S -13.89 -6.82 -16.50
S -15.23 -0.86 -14.20
S -11.91 -4.67 -16.33
P -21.40 -6.27 -15.72
P -19.26 -8.95 -15.87
O -15.96 -9.01 -16.23
O -16.44 -8.11 -14.30
N -16.33 -3.00 -15.01
N -12.41 -6.14 -14.33
N -22.10 -7.30 -13.31
N -11.40 -5.23 -13.95
N -18.47 -3.32 -17.00
N -20.61 -9.61 -13.59
C -22.10 -10.18 -10.33
C -18.30 -2.17 -16.29
C -9.63 -5.14 -12.28
C -18.50 -10.44 -15.11
C -15.31 -2.55 -14.34
C -23.41 -5.71 -17.54
C -20.54 -8.68 -14.52
C -24.04 -5.19 -15.17
C -14.26 -3.42 -13.72
C -21.25 -10.81 -16.69
C -22.14 -8.25 -12.35
C -23.28 -6.17 -16.09
C -11.92 -5.47 -11.58
C -11.49 -5.54 -10.26
C -19.31 -1.27 -16.38
C -21.40 -9.44 -12.50
C -10.99 -5.26 -12.58
C -20.20 -9.86 -17.25
C -21.00 -4.73 -14.82
C -21.41 -10.41 -11.49
C -19.58 -3.28 -17.71
C -20.88 -8.94 -18.23
C -12.74 -5.95 -15.57
C -23.89 -7.58 -15.97
C -17.07 -1.96 -15.48
C -21.34 -7.51 -14.37
C -9.22 -5.24 -10.95
C -11.07 -4.29 -14.88
C -16.62 -0.72 -15.15
C -22.87 -9.01 -10.19
C -10.15 -5.41 -9.92
C -22.91 -8.05 -11.18
C -19.12 -10.64 -18.02
C -19.99 -4.37 -18.63
C -15.94 -8.95 -15.03
H -23.48 -8.86 -9.31
H -22.05 -10.89 -9.52
H -18.12 -10.17 -14.12
H -8.91 -5.01 -13.09
H -23.34 -8.29 -16.56
H -8.18 -5.22 -10.72
H -21.59 -11.48 -17.49
H -19.22 -11.26 -15.02
H -20.91 -11.40 -15.85
H -20.15 -8.28 -18.75
H -22.87 -6.36 -18.25
H -13.28 -3.10 -14.06
H -21.63 -8.31 -17.77
H -19.58 -10.99 -18.93
H -15.39 -9.76 -14.53
H -19.41 -0.34 -15.85
H -18.73 -11.48 -17.45
H -23.93 -7.92 -14.94
H -23.50 -7.16 -11.09
H -21.35 -9.55 -19.00
H -25.06 -5.13 -15.55
H -23.62 -4.17 -15.20
H -18.24 -10.03 -18.31
~~~
But Challengers players weren’t so lucky, as the amateur circuit forced competitors to learn on the fly and use the new hills and spawns in the season’s first Cup. After a full weekend of testing the waters, Challengers players walked away with a sour taste in their mouths and warned CDL players of what’s to come.
Challengers players slam Season One Reloaded Hardpoint update
The two primary maps in question after the most recent update are Sub Base and Terminal. Both maps already had questionable hill locations and spawns before the update, but they unequivocally got even worse. During a Challengers Cup match, FaZe Black’s Asim spawned directly on a Hardpoint after getting killed mid-map.
____________
(1)
This record from the Open Molecules 2025 dataset describes one molecule with the formula C24H23N5OS. The level of theory is wB97M-V/def2-TZVPD.

XYZ file:
```
54
Properties=species:S:1:pos:R:3
O 0.69 2.22 1.51
C 1.70 2.14 0.83
N 2.70 1.29 1.07
H 3.43 1.17 0.38
C 2.62 0.25 2.07
H 3.48 0.35 2.75
H 1.70 0.42 2.63
C 2.62 -1.14 1.42
C 3.89 -1.35 0.65
C 5.05 -1.76 1.29
C 6.23 -1.90 0.59
C 6.27 -1.63 -0.77
C 5.12 -1.22 -1.42
C 3.93 -1.08 -0.72
H 3.03 -0.78 -1.22
H 5.14 -1.01 -2.48
H 7.19 -1.73 -1.32
H 7.13 -2.22 1.10
H 5.03 -1.97 2.35
H 2.52 -1.89 2.20
H 1.77 -1.21 0.74
C 1.93 3.06 -0.37
H 2.12 4.08 -0.04
H 2.74 2.71 -1.02
S 0.40 3.14 -1.35
C 0.05 1.44 -1.30
N 0.94 0.49 -1.26
N 0.29 -0.67 -1.10
C -0.99 -0.42 -1.07
N -1.21 0.92 -1.20
C -2.44 1.65 -1.02
C -3.17 1.13 0.19
C -2.51 1.05 1.41
C -3.15 0.50 2.51
C -4.45 0.03 2.40
C -5.12 0.13 1.19
C -4.48 0.67 0.09
H -5.00 0.74 -0.85
H -6.13 -0.23 1.10
H -4.94 -0.40 3.26
H -2.63 0.44 3.45
H -1.50 1.42 1.50
H -2.16 2.71 -0.88
H -3.06 1.58 -1.92
C -2.04 -1.42 -0.89
C -1.95 -2.34 0.16
C -2.98 -3.25 0.31
N -4.03 -3.31 -0.48
C -4.10 -2.45 -1.49
C -3.13 -1.49 -1.74
H -3.23 -0.83 -2.59
H -4.97 -2.55 -2.13
H -2.97 -3.97 1.12
H -1.11 -2.32 0.83
```

HOMO level	-0.322	Ha
LUMO	0.5	eV
molar mass	429.55	g/mol
frontier orbital gap	9.2615	eV
ΔE to the lowest compared entry with this formula, charge and spin	0.124	eV


(2)
This record from the Open Molecules 2025 dataset describes a 2-piece molecular cluster, C24H23NOS2 overall. The level of theory is wB97M-V/def2-TZVPD.

XYZ file:
```
51
Properties=species:S:1:pos:R:3
C 1.58 -5.83 -1.61
C 0.12 -5.55 -2.04
C -0.51 -4.64 -0.96
N 0.59 -4.32 -0.07
C 0.44 -3.47 0.99
S -0.97 -2.54 1.08
S 1.65 -3.45 2.15
C 1.75 -5.19 -0.21
H 1.80 -6.90 -1.59
H 2.29 -5.35 -2.30
H 0.11 -5.03 -3.01
H -0.44 -6.49 -2.13
H -0.93 -3.72 -1.40
H -1.34 -5.16 -0.45
H 1.79 -5.98 0.56
H 2.69 -4.63 -0.15
C 0.67 4.28 -4.75
C 0.71 4.99 -3.54
C 1.37 4.46 -2.43
C 1.99 3.21 -2.55
O 2.55 2.63 -1.40
C 1.70 2.05 -0.47
C 1.31 0.71 -0.65
C 0.39 0.16 0.22
C -0.18 0.89 1.30
C -1.13 0.30 2.17
C -2.01 0.98 3.06
C -2.67 0.26 4.10
C -3.42 0.92 5.06
C -3.55 2.32 5.01
C -2.98 3.04 3.96
C -2.28 2.38 2.95
C 0.33 2.22 1.50
C 1.20 2.80 0.60
C 1.98 2.50 -3.76
C 1.30 3.04 -4.85
H 0.14 4.69 -5.61
H 0.22 5.96 -3.45
H 1.39 4.98 -1.48
H 1.71 0.13 -1.48
H 0.09 -0.89 0.09
H -1.17 -0.79 2.25
H -2.54 -0.83 4.15
H -3.91 0.35 5.86
H -4.12 2.85 5.77
H -3.08 4.13 3.90
H -1.90 2.94 2.10
H 0.03 2.78 2.38
H 1.50 3.84 0.72
H 2.48 1.53 -3.80
H 1.27 2.47 -5.78
```

HOMO level	-0.228	Ha
LUMO	-2.7	eV
molar mass	405.59	g/mol
frontier orbital gap	3.5318	eV
ΔE to the lowest compared entry with this formula, charge and spin	1.436	eV

=====

# 1
C26H24FeN4O3S | wB97M-V/def2-TZVPD

```
59
Properties=species:S:1:pos:R:3:mulliken_charge:R:1
C -2.01395 3.99579 -1.00175 -0.954
C -0.69445 -1.41870 4.12594 0.786
C -0.71858 -2.74538 3.58017 -0.892
C -1.79502 2.86292 -0.24447 -0.234
O -1.55362 -2.21045 0.16795 -0.382
H 5.72134 0.48591 -3.96215 0.427
____________
Sure, his team had control of the point, but a player should never be able to spawn directly on the hill because that would make it impossible for the enemy team to ever pull off a successful break. And the problems extend well beyond that on Sub Base. Players don’t only spawn directly on the hill; there are also periods of the match where you will spawn next to or behind an enemy, making for an easy pick while rotating. As for Terminal, the map is far from the traditional three-lane map we are used to in competitive CoD, and it’s glaringly apparent in Hardpoint. Players spawn in random areas of the map and sometimes need to walk what feels like a mile to get back in the fight.
Challengers players sounded off on the spawns, as matches lacked coherent flow or rhythm.
“I actually cannot believe we are seriously playing one of 2 major events for AMs this year on this game in this state,” GSP Syndicate player Cruzeey said. “I swear this is by far the worst and most random HP has ever been in any COD ever. Feels so hard to be consistently doing the right thing.”
This leads to the question of whether or not the CDL should change over to the new Hardpoint after Major One, or just stay on the old patch for as long as possible.
Why the CDL should stay away from new Hardpoint update
There has been no official announcement, but the CDL will most likely use the new update after Major One.
After playing Ranked Play and watching Challengers matches, I don’t believe using the new Hardpoint locations and hills is a good idea. It’s clear that there are too many inconsistencies at the moment to justify using the latest update in competitive matches.
In saying that, writing off an update that does some good is hard. For example, the palace hill on Invasion is the hardest Hardpoint to break in the current CDL map rotation. The Season One Reloaded update removed the location, making the map a much more balanced experience. Karachi also feels much better, as the hills are more spread out and the action is less congested than before. But those changes aren’t enough to compensate for the unacceptable spawns on Terminal and Sub Base.
Treyarch should act now while they can and make further adjustments before the CDL inevitably uses Hardpoint maps that have no right being on the main stage.
Published: Jan 22, 2024 02:40 pm